Children’s Issues Committee Agenda

Thursday January 28, 2016

Hilton Bonnet Creek Hotel, Orlando, Florida

I.  Welcome and Introductions

  1. Call to Order 9:10 a.m.
  2. Attendance: Rusty Meade, Trish Armstrong, Amy Cosentino, Taryn Sinatra, Heather Stohlman, Beth Luna, Sonica Cinami, Magistrate John Johnson Magistrate Barbara Gorian, Michelle Klinger, Angel Bello-Billini, John Foster, Jacqueline Brown, Daphne Shaw, Karim Batista, Jessi Pullitzer, Tenisia Hall, Stephanie Hatalon, Andrea Reid, Nancy Brodzki, Susan Keith, Kim Rommel Enright, Steve Berzner, Ellen Silver, Holly Rice, Amy Hickman, Ron Bornstein, Sue Selsky, Yvonne Alonso, Stefanie Grife, Sheena Benjamin-Wise, Sonja Jean.

II.  Review and Approval of Minutes

  1. Kim Rommel Enright Motion to Accept; Second Nancy Brodzki

III.  Reports of Subcommittee and Ad Hoc Committee

  1. Review of Ad Hoc Parentage Committee Chapter 63.032: Report by Sonica Cinami: Amy Hickman and Rusty Meade and Sonica have worked on the dual parentage portion of the statute. In this political climate this may take a back seat to alimony but the plan is to move forward and have the nomenclature committee review the Work.

Amy Hickman: Nomenclature 63.742 and Nomenclature, the committee, is asked to present to children’s issues, changes concept of affidavit of paternity to denial of non-parentage. This is a pressing issue in the state of Florida, children are being harmed because our statute is not gender neutral, need a gender neutral interpretation of the statute. The committee is asked to seriously consider this proposal.

Magistrate Johnson: What is the genesis of the affidavit of non-paternity.

Amy Hickman: A pregnant woman is not similarly situated to another woman who would be consenting. Parental Waiver statute allows everyone, except the pregnant woman, to execute that waiver pre birth.

Motion to Approve entire Statute as presented by Amy Hickman:


Tenesia Hall: does this include the surrogate? Amy Hickman: Gestation surrogate in in definition of parent. We can put birth mother, who is a parent, and that could address the issue. Birth mother is added because the child may have two mothers - the birth mother and the biological mother. Want to look at it again. Perhaps birth mother needs to be defined. Committee will look at it again and decide to gender neutralize it because there was an uneven application to same sex couples who were family planning. There is no danger to defining that term and making that clarification. Approved with modification that we will add definition of birth parent.

63.032(12): No comments; Motion to Approve by Sonja Jean; 2nd Nancy Brodzki

Quantum chemistry results, as found in the file =
- - -
C2H3NO | ωB97M-V/def2-TZVPD

Results
* highest occupied orbital energy: -9.502 eV
* frontier orbital gap: 0.38288 Eh
* 2S+1: 1
* ΔE to the lowest compared entry with this formula, charge and spin: 158.7 kJ/mol
* SMILES: O=C1CN1
* LUMO: 0.917 eV

Last column: Mulliken charge in e.
Atoms and positions in Å:
C -1.6026 0.0428 0.0452  0.46
C -0.0973 -0.5007 0.1644  -0.41
N -0.6067 0.8931 0.1370  -0.28
O -2.7548 -0.2034 -0.0450  -0.47
H 0.3359 -0.8083 1.0995  0.22
H 0.3440 -0.9054 -0.7340  0.23
H -0.3201 1.7007 -0.3901  0.25

***

C2H3NO | ωB97M-V/def2-TZVPD

Results
* highest occupied orbital energy: -9.378 eV
* frontier orbital gap: 0.37770 Eh
* 2S+1: 1
* ΔE to the lowest compared entry with this formula, charge and spin: 190.6 kJ/mol
* SMILES: C#N.C=O
* LUMO: 0.899 eV

Last column: Mulliken charge in e.
Atoms and positions in Å:
C -0.6766 -0.2058 -1.9550  -0.11
C 0.5170 0.2393 1.4324  -0.03
N -0.0911 -0.2973 -1.0191  -0.23
O -0.4169 -0.2529 2.0247  -0.43
H -1.2378 -0.2999 -2.8823  0.28
H 0.9259 1.2600 1.6718  0.25
H 0.9794 -0.4433 0.7275  0.26

***

C2H3NO | ωB97M-V/def2-TZVPD

Results
* highest occupied orbital energy (alpha / beta): -9.747 / -9.747 eV
* frontier orbital gap (alpha / beta): 0.36831 / 0.36829 Eh
* 2S+1: 1
* ΔE to the lowest compared entry with this formula, charge and spin: 404.8 kJ/mol
* SMILES: O=C1CN1
* LUMO (alpha / beta): 0.275 / 0.275 eV

Last column: Mulliken charge in e.
Atoms and positions in Å:
C -0.0794 -0.6717 -0.3151  0.43
C 0.1999 0.7115 -0.3123  -0.33
N -0.5332 -0.1301 0.7704  -0.31
O -0.2298 -2.0098 -1.0422  -0.54
H 1.2102 0.8426 -0.0925  0.25
H -0.3866 1.4977 -0.6824  0.25
H -0.1811 -0.2402 1.6742  0.25

***

C2H3NO | ωB97M-V/def2-TZVPD

Results
* highest occupied orbital energy (alpha / beta): -8.806 / -8.807 eV
* frontier orbital gap (alpha / beta): 0.30640 / 0.30643 Eh
* 2S+1: 1
* ΔE to the lowest compared entry with this formula, charge and spin: 343.6 kJ/mol
* LUMO (alpha / beta): -0.469 / -0.468 eV

Last column: Mulliken charge in e.
Atoms and positions in Å:
C 0.6385 -0.4934 -0.2176  0.22
C -0.9144 -0.1011 -0.1548  -0.09
N 1.6714 -0.1524 0.1501  -0.24
O -0.9243 0.5052 0.9938  -0.60
H -1.0478 0.6699 -0.9712  0.19
H -1.5351 -1.0452 -0.4251  0.21
H 2.1116 0.6170 0.6249  0.32

***

C2H3NO2 | ωB97M-V/def2-TZVPD

Results
* highest occupied orbital energy: -10.542 eV
* frontier orbital gap: 0.40273 Eh
* 2S+1: 1
* ΔE to the lowest compared entry with this formula, charge and spin: 22.1 kJ/mol
* SMILES: O=CNC=O
* LUMO: 0.417 eV

Last column: Mulliken charge in e.
Atoms and positions in Å:
C -1.1920 0.0557 -0.7853  0.18
C 0.8664 -0.0369 0.6611  0.08
H -1.5174 -0.4854 -1.7365  0.29
H 0.7073 -0.8963 -1.1395  0.26
H 0.3868 0.5522 1.4236  0.36
N 0.1000 -0.3825 -0.4548  -0.15
O -1.8518 0.7640 -0.0557  -0.49
O 2.0614 -0.3397 0.7283  -0.53

***

C2H3NO2 | ωB97M-V/def2-TZVPD

Results
* highest occupied orbital energy: -9.281 eV
* frontier orbital gap: 0.31201 Eh
* 2S+1: 1
- - -

63.039(1) and (3): No Comments; Nancy Brodsky Motion to Approve; 2nd Karim Batista

63.042: Unanimous Approval of the Gender Neutral Language proposed by Ad Hoc Parentage Committee. It will now go back to legislation.

  1. Guardian ad Litem: Beth Luna: The issue we were going to address in the statute is being addressed by the public interest group. There is a concern about the amount of support there is for guardians, once there are certified.

Tenesia Hall: On legal needs of Children’s Committee there is still problems ensuring that the AALs are trained and working the cases.

If anybody wants to help with this sub-committee, please contact Beth and sign up.

  1. GAL Hearsay: Motion to Sunset this committee by Andrea Reid, Second Amy Cosentino. This committee was originally intended to support and previously talked about creating uniformity in education. We talked about putting in the statute that GAL be trained. Perhaps making a qualification process. The GAL hearsay is what we are talking about Sun-setting. The committee was set up to determine if each jurisdiction should have an exception to the hearsay.

Sonica: we need a uniform standard. Tenesia Hall: we need a statutory change or a rule to make this change. We need an article for one of the publications to write about do we need a rule change for the GAL statute and the hearsay issue. Sonja will reach out to Anastasia Garcia to see if she will write an article. Committee will not be sunset at this time, we will have the committee approach publications to consider if it is viable.

Pause in discussion for Chair Maria Gonzalez to introduce herself and the Leadership, who were not present, to the members of the committee.

  1. High Conflict Sub Committee: How do we support family attorneys who are consistently engaged in conflict? Question posed to committee for insight into topics for the CLE:
  2. Right of First Refusal - In parenting plans: Are step-parents child care providers; what is a child care provider – Definition of Child Care Providers within Parenting Plan.
  3. Tenesia Hall: Parenting Plan doesn’t consider the relationship of the parties also when prose litigants are doing it, they are doing it as a snap shot of the child at that age, doesn’t account for child aging ahead.
  4. Cindy Vova: Relocation within 50 miles when there is an equal timesharing schedule.
  5. Karim Batista: Communications provision, with the minor child, speaker length etc. Example, nothing making the child charge the phone.
  6. Rusty Meade: Do I have a responsibility to reconnect the Skype?

Halloween, who gets the child? Who purchases the costume? What time is return for child, etc.? Who is responsible for providing dinner etc.?

Temp relief on timesharing schedule:

Judge Parenting plan is designed to be a vanilla document, terms of the plan were pulled from parenting plans all over the country, they strove to balance a parenting plan that covered the main issues, but gave flexibility for those details. A 27-page plan is not going to be used, it was developed to be a developed form to be used supplemented and expanded.

Travel, domestic and foreign, booking flights etc.

Taryn Sinatra: No Disparagement of the other parents, not talking to child about inappropriate things. How do you enforce or prove it?


Issues at Hotel

Adjourned until further notice

Respectfully summited by